-- Material --
<<<
Density functional theory data (PBE with a Hubbard U) for crystalline MnCo2SnO6 at its relaxed geometry.

a b c (Å): 5.147 5.147 5.405
angles (deg): 61.56 61.57 60.00
Atoms (fractional coordinates):
Co (0.016, 0.016, 0.953)
Co (0.515, 0.515, 0.455)
O (0.888, 0.637, 0.236)
O (0.145, 0.380, 0.742)
O (0.380, 0.733, 0.742)
O (0.238, 0.888, 0.237)
O (0.733, 0.145, 0.742)
O (0.637, 0.238, 0.236)
Mn (0.802, 0.802, 0.594)
Sn (0.308, 0.308, 0.076)

Properties
DFT total energy	-6.350	eV per atom
crystal system	trigonal

=====

Model one:
Material: Na2SbH
Method: DFT, PBE
State: relaxed

Summary:
The calculation puts the theoretical density at 3.0 g/cm³. As for the symmetry: I-42d.

Cell lengths 6.6618, 6.6618, 6.3059 Å; angles 58.11, 58.11, 90.00 degrees
Fractional positions:
Na (0.2649, 0.6250, 0.2500)
Na (0.3750, 0.5149, 0.7500)
Sb (0.0000, 0.0000, 0.0000)
H (0.2500, 0.7500, 0.5000)
Sb (0.7500, 0.2500, 0.5000)
H (0.5000, 0.5000, 0.0000)
Na (0.4851, 0.1250, 0.2500)
Na (0.8750, 0.7351, 0.7500)

Model two:
Material: Na2SbH
Method: DFT, PBE
State: relaxed

Summary:
The calculation puts the theoretical density at 2.8 g/cm³. As for the symmetry: P2_1/c.

Cell lengths 8.0780, 5.0891, 9.7783 Å; angles 92.11, 90.00, 90.00 degrees
Fractional positions:
Na (0.1556, 0.2013, 0.5510)
Na (0.9239, 0.8284, 0.8250)
H (0.0653, 0.4988, 0.3717)
H (0.4347, 0.9988, 0.8717)
H (0.5653, 0.0012, 0.1283)
Sb (0.2533, 0.1933, 0.8618)
Na (0.4239, 0.6716, 0.6750)
Sb (0.2467, 0.6932, 0.3618)
Na (0.3444, 0.7013, 0.0510)
Na (0.6556, 0.2987, 0.9490)
Sb (0.7467, 0.8067, 0.1382)
H (0.9347, 0.5012, 0.6283)
Sb (0.7533, 0.3068, 0.6382)
Na (0.0761, 0.1716, 0.1750)
Na (0.8444, 0.7987, 0.4490)
Na (0.5761, 0.3284, 0.3250)

The structure with the least stability is model one.

Model one:
Material: NaSbH
Method: DFT, PBE
State: relaxed

Summary:
The calculation puts the theoretical density at 3.7 g/cm³. As for the symmetry: Pm.

Cell lengths 3.3407, 9.3834, 6.9024 Å; angles 37.26, 89.95, 89.96 degrees
Fractional positions:
Na (0.0875, 0.8699, 0.6464)
Na (0.0879, 0.4596, 0.5509)
H (0.5873, 0.8941, 0.3501)
Sb (0.5872, 0.3637, 0.1784)
Sb (0.5876, 0.9655, 0.0230)
H (0.5872, 0.4377, 0.8490)

Model two:
Material: NaSbH
Method: DFT, PBE
State: relaxed

Summary:
The calculation puts the theoretical density at 3.8 g/cm³. As for the symmetry: C2/m.

Cell lengths 4.1960, 5.7456, 6.9709 Å; angles 122.27, 90.00, 111.42 degrees
Fractional positions:
Na (0.9248, 0.8497, 0.1679)
Na (0.0752, 0.1503, 0.8321)
H (0.4666, 0.9333, 0.9344)
Sb (0.6866, 0.3733, 0.5743)
H (0.5334, 0.0667, 0.0656)
Sb (0.3134, 0.6267, 0.4257)

The structure with the least stability is model one.

Model one:
Material: NaSbH
Method: DFT, PBE
State: relaxed

Summary:
The calculation puts the theoretical density at 3.7 g/cm³. As for the symmetry: P-1.

Cell lengths 6.7252, 3.3628, 8.0046 Å; angles 89.73, 49.28, 76.01 degrees
Fractional positions:
Sb (0.0353, 0.7255, 0.1834)
H (0.1378, 0.6752, 0.3400)
Na (0.4554, 0.0170, 0.2740)
H (0.8622, 0.3248, 0.6600)
Sb (0.9647, 0.2745, 0.8166)
Na (0.5446, 0.9830, 0.7260)

Model two:
Material: NaSbH
Method: DFT, PBE
State: relaxed

Summary:
The calculation puts the theoretical density at 3.9 g/cm³. As for the symmetry: I4mm.

Cell lengths 3.2130, 3.2130, 6.4308 Å; angles 104.47, 104.47, 90.00 degrees
Fractional positions:
Na (0.3756, 0.3756, 0.7512)
Sb (0.6521, 0.6521, 0.3041)
H (0.8223, 0.8223, 0.6447)

The structure with the least stability is model two.

Model one:
Material: NaSb3H
Method: DFT, PBE
State: relaxed

Summary:
The calculation puts the theoretical density at 4.1 g/cm³. As for the symmetry: Pm-3m.

Cell lengths 5.4242, 5.4242, 5.4242 Å; angles 90.00, 90.00, 90.00 degrees
Site moments in Bohr magnetons follow the coordinates.
Fractional positions:
Na (0.0000, 0.0000, 0.0000)  0.00
H (0.5000, 0.5000, 0.5000)  0.34
Sb (0.0000, 0.0000, 0.5000)  -0.04
Sb (0.5000, 0.0000, 0.0000)  0.00
Sb (0.0000, 0.5000, 0.0000)  -0.01

Model two:
Material: NaSb3H
Method: DFT, PBE
State: relaxed
>>>

-- What to do --
Count the lines further up that contain the word "Fractional" and give the number alone.

-- Result --
7